Assignment =
Now find "0.54 0.07" and "0.0348 -2.18" in the rows further down, and transcribe these two lines and those between.

Given =
┌──
(1)
15
Properties=species:S:1:pos:R:3:forces:R:3:nbo_charge:R:1 method="wB97M-V/def2-TZVPD" total_energy_ev=-10877.99845 e_homo_ha=-0.32980 smiles=C#C[C@@]1(O)CCON1 de_lowest_kcal_mol=129.6 orbital_gap_ev=9.81
C -3.0488 -0.5755 0.0571 0.88 -0.55 -0.14 -0.28
C -1.8549 -0.4552 -0.0551 3.17 2.89 0.47 -0.09
C 0.6697 -0.0905 1.0525 0.84 4.43 -2.02 -0.46
C 1.9203 -0.3295 0.2375 1.71 -0.18 -0.39 -0.10
C -0.2437 0.3043 -0.1837 -3.53 -2.38 1.65 0.44
N 0.3031 -0.3254 -1.3090 -0.85 -0.61 0.17 -0.37
O 1.5086 -0.9465 -0.9839 0.23 -0.53 0.00 -0.36
O -0.4226 1.6747 -0.4516 0.05 -0.80 0.51 -0.72
H -3.9910 -1.0168 0.1090 -1.08 -0.09 0.06 0.23
H 0.3000 -0.8936 1.5543 -0.93 -2.36 1.31 0.23
H 0.8263 0.8053 1.7475 -0.50 -1.27 -0.96 0.24
H 2.4042 0.5806 -0.1390 -0.15 0.43 0.85 0.18
H 2.7226 -0.9434 0.7023 -0.76 0.14 -0.30 0.21
H 0.2700 0.4132 -1.9766 1.47 0.34 -1.28 0.37
H -1.3639 1.7985 -0.3613 -0.56 0.54 0.07 0.50


(2)
15
Properties=species:S:1:pos:R:3:forces:R:3:nbo_charge:R:1 method="wB97M-V/def2-TZVPD" total_energy_ev=-10873.96019 e_homo_ha=-0.31814 de_lowest_kcal_mol=222.7 orbital_gap_ev=7.13
C 0.1278 0.1773 0.3698 2.53 -2.53 -0.03 0.01
C 1.3979 0.8927 -0.0684 4.34 3.35 2.82 -0.10
C 2.4424 1.6466 0.1190 -3.81 -1.33 -1.72 -0.20
C -1.0223 0.4594 -0.5118 0.26 -4.50 1.91 0.04
C -0.4255 -0.9543 -0.6145 3.49 1.31 -3.29 0.07
H 0.5417 -1.1654 1.9003 -2.40 2.38 -0.41 0.37
H -1.1561 -0.4176 1.5716 2.66 -0.33 1.88 0.38
H 3.2047 2.5757 0.0348 -2.18 -3.02 0.25 0.28
H -0.8106 1.1106 -1.2365 0.08 2.50 -3.17 0.21
H -2.8365 -0.8874 0.4479 2.31 4.12 -1.65 0.39
H -1.1232 -1.8804 -0.4320 1.66 1.97 -0.03 0.22
H 1.3563 -0.6132 -1.6514 -0.09 0.10 0.51 0.48
N -0.0803 -0.2503 1.7639 -0.75 -0.73 -1.01 -0.81
O -2.1905 0.4678 0.0818 -5.29 -2.67 2.45 -0.61
O 0.5744 -1.1614 -1.7744 -2.84 -0.62 1.48 -0.74


(3)
15
Properties=species:S:1:pos:R:3:forces:R:3:nbo_charge:R:1 method="wB97M-V/def2-TZVPD" total_energy_ev=-10879.70918 e_homo_ha=-0.31827 smiles="C[C@]1(O)[C@@H]2C=NO[C@@H]21" de_lowest_kcal_mol=90.1 orbital_gap_ev=9.48
C 0.6386 1.2914 -0.4527 0.59 0.61 -2.00 -0.64
C 0.5987 -0.0992 0.0394 1.15 -0.86 2.69 0.21
C -0.3371 -0.2483 1.2028 0.21 -0.82 -1.56 0.04
C -1.5281 -0.7570 -0.6980 -3.06 0.67 0.90 0.01
C -0.3851 -1.2429 -0.0267 1.23 1.37 1.81 -0.33
H 1.2262 1.8844 0.2678 -0.40 -0.24 -0.11 0.23
H 1.2261 1.2687 -1.3831 -0.16 0.47 -0.11 0.20
H -0.3225 1.7955 -0.6647 0.51 -0.54 0.28 0.26
H 2.4949 -0.1652 -0.2505 0.32 -0.11 0.05 0.47
H 0.1348 -0.3783 2.1820 -0.80 -0.27 -0.21 0.23
H -1.7946 -1.1107 -1.6566 -0.84 -0.34 -0.75 0.21
H -0.0941 -2.2746 0.1386 0.20 0.19 -0.75 0.27
N -2.2505 0.1375 -0.0849 2.05 -0.46 -0.87 -0.08
O 1.8991 -0.6472 0.3286 -0.54 0.75 -0.08 -0.71
O -1.5064 0.5458 1.0580 -0.45 -0.44 0.70 -0.37


(4)
15
Properties=species:S:1:pos:R:3:forces:R:3:nbo_charge:R:1 method="wB97M-V/def2-TZVPD" total_energy_ev=-10878.58627 e_homo_ha=-0.33162 smiles="O[C@@]12CC=NO[C@H]1C2" de_lowest_kcal_mol=116.0 orbital_gap_ev=9.86
C -0.6067 0.4320 0.2481 0.45 -0.87 -2.50 0.19
C 0.5752 1.1765 -0.4036 -0.40 0.83 2.22 -0.46
C 1.7277 0.2050 -0.0028 1.34 0.34 -0.32 0.05
C -0.4516 -0.9376 -0.4595 -0.86 0.98 0.18 0.02
C -1.8848 -0.3875 -0.1696 3.00 0.33 0.84 -0.42
H -0.3012 -0.5810 1.7883 0.31 -0.14 0.59 0.48
H 0.6697 2.1829 0.1143 0.45 -1.10 -0.65 0.23
H 0.5873 1.3340 -1.4686 -0.33 -0.04 -0.37 0.23
H 2.7765 0.6077 0.0675 -1.17 -0.32 -0.16 0.22
H -0.1971 -0.8183 -1.5491 -0.08 -0.49 1.25 0.18
H -2.4002 -0.6588 0.7523 -0.23 -0.07 -0.61 0.25
H -2.3724 -0.1722 -1.0993 -0.58 0.05 0.05 0.24
N 1.7284 -1.0460 0.2845 -0.54 0.94 -0.06 -0.11
O -0.2968 0.3659 1.6000 -0.97 -0.04 0.24 -0.70
O 0.4460 -1.7028 0.2976 -0.39 -0.41 -0.70 -0.39

~~~~~

# 1
└──

Done =
H -1.3639 1.7985 -0.3613 -0.56 0.54 0.07 0.50


(2)
15
Properties=species:S:1:pos:R:3:forces:R:3:nbo_charge:R:1 method="wB97M-V/def2-TZVPD" total_energy_ev=-10873.96019 e_homo_ha=-0.31814 de_lowest_kcal_mol=222.7 orbital_gap_ev=7.13
C 0.1278 0.1773 0.3698 2.53 -2.53 -0.03 0.01
C 1.3979 0.8927 -0.0684 4.34 3.35 2.82 -0.10
C 2.4424 1.6466 0.1190 -3.81 -1.33 -1.72 -0.20
C -1.0223 0.4594 -0.5118 0.26 -4.50 1.91 0.04
C -0.4255 -0.9543 -0.6145 3.49 1.31 -3.29 0.07
H 0.5417 -1.1654 1.9003 -2.40 2.38 -0.41 0.37
H -1.1561 -0.4176 1.5716 2.66 -0.33 1.88 0.38
H 3.2047 2.5757 0.0348 -2.18 -3.02 0.25 0.28